Pain Flashcards
An unpleasant sensory and emotional experience associated with actual or potential tissue damage. Pain is a change in the nervous system, as well as being reflective of the patient’s past pain experiences and the meaning of pain.
What are the dimensions of pain?
cognitive, affective, physiologic, behavioral, sociocultural
Cognitive dimension of pain
Beliefs, attitudes, memories, and meaning attributed to pain that can influence the patient’s response to pain and should be incorporated into the comprehensive treatment plan
Affective dimension of pain
Emotional response to pain experience. Responses may include anger, fear, depression or anxiety. May be relieved by pain reflief and influenced by spirituality
Physiologic dimension of pain
Transmission of nociceptive stimuli that communicates tissue damage to the CNS
Behavioral dimension of pain
== Here the page breaks off for molecular data ==
........
[1]
Entry from the OMol25 dataset: one molecule with the formula C22H29NO2 (the ωB97M-V functional and the def2-TZVPD basis).

Geometry as ORCA input:
```
! wB97M-V def2-TZVPD RIJCOSX def2/J DEFGRID3
* xyz 0 1
C 3.340 1.442 -5.960
C 2.445 1.123 -4.800
C 2.092 -0.186 -4.504
C 1.253 -0.476 -3.444
C 0.740 0.546 -2.659
C -0.146 0.245 -1.469
O -0.683 -1.055 -1.611
C -1.804 -1.343 -0.819
C -1.477 -1.710 0.637
O -0.891 -2.996 0.616
C -2.728 -1.668 1.556
N -2.595 -0.871 2.756
C -2.497 0.555 2.509
C -2.665 1.320 3.819
C -1.593 0.885 4.812
C -1.685 -0.624 5.002
C -1.549 -1.325 3.653
C 0.704 0.417 -0.223
C 1.652 -0.548 0.097
C 2.424 -0.414 1.236
C 2.270 0.693 2.057
C 1.343 1.667 1.730
C 0.562 1.530 0.594
C 1.089 1.858 -2.948
C 1.931 2.141 -4.006
H 4.037 2.237 -5.702
H 3.903 0.565 -6.268
H 2.745 1.780 -6.809
H 2.481 -0.993 -5.110
H 0.977 -1.494 -3.222
H -0.973 0.978 -1.438
H -2.504 -0.494 -0.831
H -2.275 -2.211 -1.289
H -0.748 -0.981 1.012
H -0.523 -3.186 1.486
H -2.960 -2.694 1.857
H -3.589 -1.286 1.002
H -3.292 0.832 1.812
H -1.529 0.832 2.056
H -2.598 2.392 3.625
H -3.651 1.103 4.231
H -1.727 1.398 5.766
H -0.606 1.144 4.421
H -0.902 -0.977 5.676
H -2.654 -0.878 5.435
H -1.660 -2.405 3.785
H -0.537 -1.124 3.252
H 1.751 -1.412 -0.542
H 3.150 -1.174 1.486
H 2.871 0.794 2.948
H 1.220 2.533 2.364
H -0.168 2.289 0.347
H 0.701 2.664 -2.340
H 2.194 3.168 -4.220
*
```

The value obtained for the HOMO energy is -8.309 eV. For the total energy, the calculation gives -28869.6112 eV. For the frontier orbital gap, the calculation gives 9.09 eV. The SMILES is Cc1ccc([C@@H](OC[C@H](O)CN2CCCCC2)c2ccccc2)cc1. The calculation puts the energy above the lowest of the compared OMol25 structures with the same formula, charge and spin at 35.9 kcal/mol.

The Mulliken scheme yields these atomic charges, measured in e: -1.45, 1.05, -0.89, -0.34, -0.09, -0.32, -0.24, -1.06, 2.29, -0.67, -1.93, 0.12, -0.04, -1.04, -0.52, -1.02, -0.23, 0.21, -0.04, -0.81, -0.60, -0.55, -0.06, -0.41, -0.87, 0.37, 0.36, 0.28, 0.32, 0.48, 0.64, 0.44, 0.29, -0.86, 0.43, 0.50, 0.43, 0.44, -0.06, 0.40, 0.38, 0.34, 0.19, 0.39, 0.36, 0.42, 0.08, 0.43, 0.42, 0.41, 0.45, 0.40, 0.40, 0.39

[2]
Entry from the OMol25 dataset: C22H29NO2 as an isolated structure (the ωB97M-V functional and the def2-TZVPD basis).

Geometry as ORCA input:
```
! wB97M-V def2-TZVPD RIJCOSX def2/J DEFGRID3
* xyz 0 1
C 5.017 2.309 1.216
H 4.927 3.255 0.644
H 5.047 2.537 2.180
C 4.031 1.221 0.625
C 4.087 0.878 -1.013
C 3.037 -0.122 -1.259
N 3.331 -1.401 -0.469
C 2.812 -2.438 -1.333
C 1.244 -2.533 -1.273
O 0.922 -2.917 0.127
C -0.564 -2.658 0.354
C -1.186 -1.335 0.259
O -2.356 -1.677 0.797
C -3.333 -0.556 0.504
C -4.663 -1.157 0.467
C -5.812 -0.444 0.293
C -5.515 0.665 -0.371
C -4.310 1.279 -0.457
C -3.054 0.736 -0.144
C -1.881 1.365 -0.034
C -1.184 1.590 0.920
C -0.062 2.387 1.105
C 0.546 2.833 -0.214
C -0.218 2.502 -1.258
C -1.355 1.934 -1.614
H -1.822 1.579 -2.288
H 0.239 2.598 -2.388
H 1.520 3.426 -0.350
H 0.519 2.469 1.971
........
Observable actions used to express or control pain include facial expressions, social withdrawal, decrease in physical activity, use of relaxation and taking medications. Responses may also include fear, depression and anxiety
Sociocultural dimension of pain
Includes demographics, support systems, social roles, and culture. Age, gender, and education may influence beliefs and coping strategies. Sociocultural dimension of pain must be assessed without stereotyping
Narcotic Tolerance
This is the need for an increased dose to maintain the same degree of pain control. It is not as common as people think. If this develops the MD may choose to rotate drug instead of increasing the dose.
Physical Dependence
This is an expected response to ongoing exposure to pharmacologic agents manifested by withdrawal symptoms when blood levels drop abruptly. The drug should be tapered to avoid this barrier.
This is a neurobiolgic condition where there is a drive to obtain and take substances for other than prescribed therapeutic value.
opiate-like peptides produced naturally by the body at neural synapses in the CNS which modulate the transmission of pain perception. They raise the pain threshold, produce sedation and euphoria.
Pain Threshold
The level that must be reached for an effect to be produced
Referred Pain
Pain that is perceived in an area distant from the site of the stimuli
Intractable Pain
Pain that continues to occur even with optimal medical management
Phantom Pain
A pain syndrome that occurs following surgical or traumatic amputation of a limb. The client experiences pain in the missing body part even though there is complete mental awareness that the limb is gone.
Somatic Pain
Pain arising from nerve receptors originating in the skin or close to the surface of the body
Visceral Pain
Pain arising from body organs, dull and poorly localized due to low number of nocipceptors
Neurogenic Pain
Also referred to as neuropathic pain. Arising from nerves
Gate Control Theory
Proposed by Ronald Melzack and Patrick Wall, gate control theory suggests that the spinal cord contains a neurological “gate” that either blocks pain signals or allows them to continue on to the brain. Unlike an actual gate, which opens and closes to allow things to pass through, the “gate” in the spinal cord operates by differentiating between the types of fibers carrying pain signals. Pain signals traveling via small nerve fibers are allowed to pass through, while signals sent by large nerve fibers are blocked. According to this theory synapses in the dorsal horns act as a gate that closes to keep impulses from reaching the brain or open to permit impulses to ascend to the brain. Gate control theory is often used to explain phantom or chronic pain.
Gate Control Theory & Nursing
The Gate Control Theory is one approach that helps to explain how thoughts and emotions of an individual modify the perception of pain. Clinically, RNs can use this model to treat the underlying causes of pain with nursing interventions such as massage, heat, cold, imagery, distraction, empathy and support
Factors that can affect an individual’s perception of and reaction to pain
- Ethnic and cultural values
- Developmental stage
- Environment and support individuals
- Past pain experiences
- Anxiety and stress
- Pain barriers
Infant (1 Month to 1 Year) Pain Perception, Behavioral responses and TNIs
- Give a glucose pacifier.
- Use tactile stimulation. Play music or tapes of a heartbeat
Toddler (1 to 2 Years) Pain Perception, Behavioral responses and TNIs
- No formal concept of pain related to immature thought process and poorly developed body image
- Reacts as intensely to painless procedures as to ones that hurt, especially when restrained
- Intrusive procedures, such as temperatures are very distressing
- Reacts to pain with physical resistance, aggression, negativism, and regression
Preschool (3 to 5 Years)Pain Perception, Behavioral responses and TNIs
- Pain perceived as punishment for bad thoughts or behavior
- Difficulty understanding that painful procedures help them get well
- Cannot differentiate between “good” pain (as a result of treatment) and “bad” pain (resulting from injury or illness)
- Reacts to painful procedures with aggression and verbal reprimands, e.g., “I hate you.” “You’re mean.”
- Distract the child with toys, books, pictures.
- Involve the child in blowing bubbles as a way of “blowing away the pain.”
- Hold the Child to provide comfort
School-Age Children (6 to 10 Years) Pain Perception, Behavioral responses and TNIs
- Reaction to pain affected by past experiences, parental response, and the meaning attached to it.
- Better able to localize and describe pain accurately
- Pain can be exaggerated because of heightened fears of bodily injury, pain, and death
- Provide a behavioral rehearsal of what to expect and how it will look and feel.
Adolescent (11 to 18 Years) Pain Perception, Behavioral responses and TNIs
- Can locate and quantify pain accurately and thoroughly
- In general, highly controlled to responding to pain and painful procedures; brave in front of peers and not report pain
- Provide opportunities to discuss pain.
- Provide privacy.
- Present choices for dealing with pain. Encourage music or TV for distraction.
Adult Pain Perception, Behavioral responses and TNIs
- Behaviors exhibited when experiencing pain may be gender-based behaviors learned as a child.
- May ignore pain because to admit it is perceived as a sign of weakness of failure.
- May use pain for secondary gain, for example, to get attention.
- Deal with any misconceptions about pain.
- Focus on the patient’s control in dealing with the pain.
- Allay fears and anxiety when possible.
Elder Pain Perception, Behavioral responses and TNIs
- May perceive pain as part of the aging process.
- May have decreased sensations or perceptions of the pain.
- Lethargy, anorexia, and fatigue may be indicators of pain.
- May withhold complaints of pain because of fear of the treatment, of any lifestyle changes that may be involved, or of becoming dependent.
- May describe pain differently, that is, as “ache,” “hurt,” or “discomfort.”
- May have chronic pain which often results in depression, sleep disturbance, decreased motility, and social isolation
Pain Assessment
pattern, area, intensity, nature
Pain Pattern
How pain changes with time, its onset, and duration
Pain Area
Place on the body where pain is felt. helps provider to identify cause and treatment of pain. same as location of pain.
Pain Intensity
Amount of pain felt, rated using pain scales
Pain Nature
How the pain feels to the patient. The quality of pain, sharp, aching, burning, experiences such as anxiety, depression and fatigues can worsen nature of pain
Define Pain Pattern
Describes how the pain changes with time, activity or other factors. Refers to factors that increase or relieve pain
Examples of pain pattern desciptors
- Continuous, steady, constant
- Rhythmic, periodic, intermittent
- Brief, momentary, transient
[Next to the entry, the page also holds quantum chemistry results]
********
BrCaZn2 as an isolated structure in a non-equilibrium geometry, computed with wB97M-V/def2-TZVPD.

ORCA input file:
```
! wB97M-V def2-TZVPD RIJCOSX def2/J DEFGRID3
* xyz 5 1
Ca -0.07122 2.10882 0.53731
Zn 1.90576 -0.39832 -0.23845
Zn -1.54792 -1.70107 0.04565
Br -0.28662 -0.00943 -0.34451
*
```

Its highest occupied orbital energy is -1.4202 Eh. As for the energy relative to the best compared isomer or geometry (same formula, charge and spin): 380.8 kJ/mol. As for the HOMO-LUMO gap: 11.70 eV.

Here is what Mulliken gives for the atomic charges, in e: 1.866 1.307 1.182 0.645


C13H15N | ωB97M-V/def2-TZVPD

Computed properties:
Energy, hartree: -558.92213
Largest force on an atom, eV/A: 3.14
Gap between HOMO and LUMO (alpha / beta), eV: 7.78 / 8.06
E_HOMO (alpha / beta), eV: -8.667 / -8.129
Relative energy (zero: lowest compared OMol25 entry of this formula, charge and spin), kcal per mole: 135.7

Element x y z (Å)
C 0.8045 -1.5938 -0.9769
C -4.2745 -0.0308 0.0501
C -3.5789 0.5585 1.0869
C -3.6361 -0.7367 -0.9690
C -2.1764 0.5686 0.9947
C -2.2180 -0.8522 -0.9713
C -1.5668 -0.1934 0.0201
C 0.6158 -2.3552 1.7326
C 1.0511 -1.1415 1.4078
C 3.1441 0.5274 -0.4271
C 1.1075 1.2930 -1.5849
C 1.6339 0.6903 -0.2432
C 1.0820 -0.6361 0.0326
N 0.5404 -2.2915 -1.8651
H -5.3903 0.0325 -0.0707
H -3.9716 1.2727 1.7309
H -4.0641 -1.3435 -1.7142
H -1.5157 0.8701 1.8622
H -1.7152 -1.5914 -1.5040
H 0.7074 -2.7308 2.7570
H 0.3181 -3.0214 1.0208
H 1.2973 -0.3916 2.2863
H 3.6275 0.4819 0.5270
H 3.2386 -0.4671 -0.9489
H 3.6068 1.2385 -1.1159
H -0.0244 1.5165 -1.4940
H 1.5455 2.2558 -1.6189
H 1.4599 0.5672 -2.3530
H 1.4146 1.4769 0.4750



C2H7NO4 | ωB97M-V/def2-TZVPD

Computed properties:
Energy, hartree: -435.84923
Largest force on an atom, eV/A: 2.42
Gap between HOMO and LUMO (alpha / beta), eV: 8.21 / 8.21
E_HOMO (alpha / beta), eV: -9.393 / -9.392
Relative energy (zero: lowest compared OMol25 entry of this formula, charge and spin), kcal per mole: 190.9

Element x y z (Å)
C 0.7180 0.5846 -0.2229
C 2.1239 0.1855 0.1693
O -0.0044 1.1921 0.7059
H -1.1356 0.7683 0.5918
H 0.6372 1.0201 -1.2435
H 0.1206 -0.4551 -0.5295
H 2.5944 -0.4258 -0.6024
H 2.1124 -0.3586 1.1130
H 2.7189 1.0911 0.3079
O -2.0790 -0.0056 0.2404
O -2.1620 -0.8613 1.3788
N -1.2044 -1.0117 -1.0964
O -1.3645 -0.5463 -2.1360
H -3.0755 -1.1772 1.3234



CH4N4 | ωB97M-V/def2-TZVPD

Computed properties:
Energy, hartree: -259.33403
Largest force on an atom, eV/A: 6.17
Gap between HOMO and LUMO, eV: 9.67
E_HOMO, eV: -8.705
Relative energy (zero: lowest compared OMol25 entry of this formula, charge and spin), kcal per mole: 141.7

Element x y z (Å)
C 1.1781 0.9811 0.1140
N 1.7065 -0.2095 0.0802
N 0.5096 -0.8729 0.0986
N -0.2425 0.1401 -0.4937
N -1.4400 0.2452 0.1600
H 1.4539 1.9550 -0.0665
H 0.4152 -1.8247 -0.3245
H -1.4216 -0.3553 1.0042
H -2.1591 -0.0591 -0.5723



C2H4N2O4 | ωB97M-V/def2-TZVPD

Computed properties:
SMILES: NC(=O)ONC(=O)O
Energy, hartree: -489.07161
Largest force on an atom, eV/A: 3.47
********
Visual Analog Scale
Ask patient to place a mark on a line that best describes amount of pain. With a centimeter ruler, measure from “no pain” end of the scale to the patient’s mark and record centimeter number of the measurement of pain intensity. Example: “Patient has a 2.5 cm measurement of pain at 8 am.” At 10 am patient had a measurement of 3 cm pain. The pain would be worse at 10 am. Use with all patients age 5 or older.
Numeric Rating Scale
Explain to patient that at one end of the line is zero which means no pain. At the other end is ten which means worst possible pain. Ask patient to choose a number that best describes own pain. Use with all patients age 4 1/2 and older.
Wong FACES Pain Rating Scale
Can be used with children starting at age 3. Point to a face that best describes patient pain.
This scale is used to assess pain levels in cognitively impaired patients including patients recovering from anesthesia and children ages 2 months – 7years.
FLACC Score 0
No particular expression or smile, normal position or relaxed, lying quietly, normal position, moves easily, no cry awake or asleep, content, relaxed
FLACC Score 1
occasional grimace or frown, withdrawn, disinterested, uneasy, restless, tense, squirming, shifting back and forth, tense, moans or whimpers, occasional complaint, reassured by occasional touching, hugging or being talked to, distractible
FLACC Score 2
frequent to constant quivering chin, clenched jaw, kicking or legs drawn up, arched, rigid or jerking, crying steadily, screams or sobs frequently, frequent complaints, difficult to console or comfort
To use FLACC Scale
Assess each of the categories in the far left column to obtain a score of 0-2 then
Add the scores for all five categories to obtain a score of 0-10.
Behavioral Assessment
Behavioral assessments are important. Many individuals who are experiencing pain show it either by verbal complaints or nonverbal behaviors.
Nonverbal Facial Expressions Indicating Pain
Clenched teeth Wrinkles forehead Biting lips Scowling Closing eyes tightly Widely opened eyes or mouth
Nonverbal Vocalizations Indicating Pain
Crying Moaning Gasping Groaning Grunting
Nonverbal Body Movement Indicating Pain
Restlessness Protective body movement Muscle tension Immobility Pacing Rhythmic movement
Nonverbal Social Interaction Indicating Pain
Reduced attention span
Focus on pain relief measures
Define Acute Pain
An unpleasant sensory and emotional experience arising from actual or potential tissue damage or described in terms of such damage; sudden or slow onset of any intensity from mild to severe with an anticipated or predictable end and DURATION OF LESS THAN 3 MONTHS OR TIME FOR NORMAL HEALING TO OCCUR.
Define Chronic Pain
Unpleasant sensory and emotional experience arising from actual or potential tissue damage or described in terms of such damage; sudden or slow onset of any intensity from mild to severe, constant or recurring without an anticipated or predictable end and a DURATION OF GREATER THAN 3 MONTHS. (PER MCC GUIDELINES)
State in which the individual experiences pain that persists for a period of time beyond the usual course of acute illness or a reasonable duration for the injury to heal, is associated with a chronic pathological process or recurs at intervals for months or years
Defining Characteristics Acute Pain
Expressions of pain are extremely variable and cannot be used in lieu of self report
- Loss of appetite
- Inability to deep breathe, ambulate, work, sleep, perform ADLs
- Guarding
┌──
Record 1
Density functional theory data (ωB97M-V/def2-TZVPD) for a cluster of 2 separate species, C4H10O in total.

```
15
Properties=species:S:1:pos:R:3:forces:R:3
C -1.359 -0.803 1.443 -0.06 -0.01 0.18
O -1.230 -0.281 0.112 0.21 -0.18 -0.32
C -0.318 -0.877 -0.618 -0.39 0.33 -0.19
C -0.233 -0.156 -1.935 -0.03 -0.12 -0.02
C 1.593 1.006 0.525 0.06 0.08 0.02
H -2.278 -0.381 1.857 0.16 -0.11 -0.04
H -0.490 -0.465 2.016 -0.21 -0.12 0.00
H -1.394 -1.895 1.413 0.01 0.21 0.02
H 1.219 0.017 0.268 0.25 -0.05 0.15
H -0.724 0.826 -1.995 0.01 -0.22 0.13
H -0.722 -0.858 -2.621 0.01 0.11 -0.15
H 0.808 -0.078 -2.273 -0.22 -0.12 0.16
H 2.390 1.252 -0.179 -0.04 0.12 0.17
H 1.971 0.974 1.549 0.03 0.14 -0.14
H 0.768 1.719 0.438 0.20 -0.05 0.04
```
Forces are in eV/Å.

Summary:
Energy above the lowest of the compared OMol25 structures with the same formula, charge and spin (kJ/mol): 311.7
E_LUMO (eV): 1.1
Orbital gap (Ha): 0.3475
Highest occupied orbital energy (eV): -8.34

---

Record 2
Density functional theory data (ωB97M-V/def2-TZVPD) for the molecule C4H10O at a distorted geometry.

```
15
Properties=species:S:1:pos:R:3:forces:R:3
C -1.557 -0.708 -0.106 -0.18 -0.97 -2.42
C -0.256 -0.051 -0.513 0.09 0.75 5.03
C -0.252 1.386 0.026 2.53 -1.71 0.75
C 1.021 -0.602 0.226 -1.10 -1.57 -0.94
O 2.142 -0.086 -0.430 4.40 0.12 3.31
H -1.402 -1.798 -0.096 -0.61 0.05 -0.66
H -1.785 -0.519 0.887 -0.52 0.84 2.00
H -2.429 -0.339 -0.764 1.31 -0.91 0.97
H -0.110 -0.044 -1.517 0.60 -0.27 -3.02
H -0.290 1.300 1.138 -0.35 0.47 -0.79
H -0.991 1.977 -0.385 -1.44 1.54 -0.72
H 0.783 1.662 -0.240 -0.64 1.05 0.19
H 1.115 -1.710 0.106 -0.56 0.44 0.62
H 1.123 -0.271 1.280 -0.97 -0.54 -0.31
H 2.887 -0.198 0.389 -2.57 0.71 -4.01
```
Forces are in eV/Å.

Summary:
Energy above the lowest of the compared OMol25 structures with the same formula, charge and spin (kJ/mol): 163.4
E_LUMO (eV): 0.8
Orbital gap (Ha): 0.3942
Highest occupied orbital energy (eV): -9.91
Structure (SMILES): CC(C)CO

---

Record 3
Density functional theory data (ωB97M-V/def2-TZVPD) for the molecule C4H10O.

```
15
Properties=species:S:1:pos:R:3:forces:R:3
C -0.560 -1.767 -0.702 0.01 -0.07 -0.01
C 0.053 -0.377 -0.865 0.01 0.06 -0.03
C 0.291 0.303 0.485 0.21 0.04 -0.19
C 0.531 1.806 0.379 0.02 0.04 -0.02
O -0.866 0.071 1.283 -0.01 -0.01 0.33
H -1.473 -1.703 -0.105 0.12 -0.05 -0.16
H 0.126 -2.445 -0.179 -0.07 0.09 -0.09
H -0.807 -2.212 -1.671 0.09 0.05 0.09
H 1.009 -0.439 -1.401 -0.15 0.06 0.09
H -0.606 0.253 -1.477 0.02 -0.07 0.13
H 1.167 -0.174 0.956 -0.17 0.04 -0.02
H 1.470 2.050 -0.130 -0.12 -0.11 0.02
H -0.295 2.277 -0.164 0.11 -0.08 0.07
H 0.564 2.248 1.382 0.05 -0.05 -0.15
H -0.602 0.110 2.208 -0.12 0.08 -0.06
```
Forces are in eV/Å.

Summary:
Energy above the lowest of the compared OMol25 structures with the same formula, charge and spin (kJ/mol): 20.8
E_LUMO (eV): 1.0
Orbital gap (Ha): 0.4137
Highest occupied orbital energy (eV): -10.28
Structure (SMILES): CC[C@@H](C)O

---

Record 4
└──
- Self-protective behavior
- Self focus
- Narrowed focus
- Distraction behavior ranging from crying to laughing
- Muscle tension or rigidity
Onset Acute Pain
Severity Acute Pain
Mild to severe
Onset Chronic Pain
Gradual or Sudden
Severity Chronic Pain
Mild to severe
Defining Characteristics Chronic Pain
Expressions of pain are extremely variable and cannot be used in lieu of self report
- Loss of appetite
- Inability to deep breathe, ambulate, work, sleep, perform ADLs
- Guarding
- Fatigue
- Withdrawal from others and social isolation
- Self-protective behavior
- Self focus
- Narrowed focus
- Distraction behavior ranging from crying to laughing
- Muscle tension or rigidity
Course of pain Acute Pain
Over time and goes away as recovery occurs related to tissue injury; resolves with healing
Course of Pain Chronic Pain
typically pain does not go away, periods of waxing and waning, continues after healing and withdrawn
Physical and Behavioral Manifestations Acute Pain
SYMPATHETIC PHYSIOLOGIC RESPONSE “Flight or fight” response increase blood pressure increase heart rate increase respiratory rate Diaphoresis Dilated pupils
- i ncrease anxiety and restlessness
- Crying, rubbing area, holding area
- Patient reports pain
Physical and Behavioral Manifestations Chronic Pain
Dry, warm skin
Normal or dilated pupils
- Depression and withdrawn
- Pain behavior often absent
- Patient often does not report pain unless asked
TNI Acute Pain
- Uses pain rating scale to identify current level of pain and determine a comfort/function level
- Reports that the pain management regimen relieves pain to a (specify level) with acceptable or manageable side effects.
- States an ability to obtain sufficient amounts of rest and sleep.
TNI Chronic Pain
- Uses pain rating scale to identify current level of pain and determine a comfort/function level
- States a specific plan for pharmacological and non-pharmacological pain relief
- Demonstrates ability to pace self, taking rest breaks before they are needed.
- Performs ADLs with minimal interference from pain and medication side effects.
Examples of Acute Pain
- Somatic
- Visceral
- Referred pain
Examples of Chronic Pain
- Phantom
- Psychogenic
- Intractable
Treatment goals Acute Pain
pain control with eventual elimination
Treatment goals Chronic Pain
Enhance function and quality of life
World Health Organization Three Step Analgesic Ladder
The World Health Organization Three Step Analgesic Ladder is a guide to selecting the initial analgesic level and dosing. The ladder presents a treatment model for pain where treatment gets more aggressive the further up the ladder you go. Continued reassessment is needed to modify the treatment plan based on the patient’s response.
World Health Organization Mild Pain
1-3 on scale. Nonopiod medication with an adjuvant medication if the patient has neuropathic pain
World Health Organization Moderate Pain
4-6 on scale. Opioid medication in low dose is added with the nonopioid and adjuvant medication continued
World Health Organization Severe Pain
7-10 on the scale. Higher doses of the opioid, nonopiod and adjuvant medications are continued. When a patient presents with severe pain ordered medications are prescribed at the appropriate level for that patient’s pain
What is the limitation of the World Health Organization’s three step analgesic ladder?
The misconception that mild to moderate pain opioids, such as codeine, must be used in step three. It is recommended that smaller doeses of strong opioids, such as morphine, are just as effective and preclude having to switch medications at a later time
TNIs for Acute and Chronic Pain
- Assess whether patient is experiencing pain at the time of the interview. If so, provide appropriate interventions to provide pain reflief. Assess patient’s pas experiences with pain and effectiveness of methods used to manage pain, including experiences with side effects, typical coping responses, and how they express pain on initial interview
- Teach patient to report pain location, intensity, using a pain rating scale and quality when experiencing pain. Find out about patient’s pain reaction, pain threshold, and pain tolerance
- Determine patient’s current medication use
- Administer ordered pain medications. It is important to use the least invasive route of administration capable of providing adequate pain control. Oral is the route of choice with a functioning GI tract
Pain Reaction
the autonomic nerous system and behavioral responses to pain
Pain Threshold
Intensity of the noxious stimuli necessary for the individual to perceive pain
Pain Tolerance
Duration of time of the intensity of which an individual accepts a stimulus above the pain theshold becaore making a verbal or overt pain response
When is around the clock pain medication especially helpful?
24-48 hours after surgery